It's going on summer in the Bay Area, which means that it's warming up a bit both outside and inside (because air conditioning is Not A Thing out here). That, coupled with the not inconsiderable research infrastructure I have at home has left me wondering and worrying about just how hot my office gets during the day while I'm working. Now, I could just put a simple little thermometer on my shelf (and I did) but my concerns are a bit bigger than that. What happens if my office temperature reaches a critical point and servers start melting down on me? I've dealt with heat damage in the past and don't particularly care to shell out a grand or so to replace parts that flatlined because I was away from the house and couldn't respond in time. That, and the fact that I need to keep my mind busy while I'm stuck in quarantine if I'm going to be honest, are the reason why I built yet another weird-assed exocortex project: A relatively simple hardware monitor connected to a Raspberry Pi, and a bot that listens for commands and responds with what it can detect of the local temperature or humidity when I send it a message.
You're probably wondering why I used a RaspPi (a RaspberryPi Zero-W, to be precise) for this project when everybody and their backup would use a more common embedded microcontroller like the ESP8266. I have three answers for this: The first is, I have a couple of RasPi Zeroes sitting around my workshop and wanted to put one of them to use in a fun weekend project. The second is, I didn't have any microcontrollers sitting around. The third reason is because I'm a shitty electrical engineer and I'm not afraid to admit it. I wanted to prototype this sensor project on a platform I already know really well, find as many gotchas as I could, and then write a new implementation later (and, in point of fact, I ordered a couple of Adafruit Feather HUZZAHs built around the ESP8266 a day or two after I got the prototype stable).
### Between two parts of the page: records of molecules
____________
Arrangement a

Density functional theory data (ωB97M-V/def2-TZVPD) for the molecule C5H9NO3.

SMILES: C=C(C(=O)O)N(C)OC
Frontier orbital gap in eV: 9.90
LUMO energy in eV: 0.86
HOMO level in hartree: -0.332

Last column: Löwdin charge in e.
Atoms and positions in Å:
C1 -1.587 1.384 0.680  0.111
C2 -0.634 0.453 0.584  -0.264
C3 0.613 0.505 1.481  -0.459
O1 0.978 -0.422 2.187  0.098
O2 1.016 1.778 1.721  0.098
N1 -0.458 -0.440 -0.463  -0.102
C4 -1.011 -1.779 -0.272  -0.041
O3 1.050 -0.606 -0.624  -0.167
C5 1.398 -0.041 -1.885  -0.086
H1 -2.397 1.421 -0.039  0.073
H2 -1.549 2.147 1.452  0.075
H3 1.586 1.687 2.509  0.134
H4 -0.903 -2.356 -1.194  0.085
H5 -0.509 -2.302 0.549  0.091
H6 -2.079 -1.707 -0.033  0.096
H7 1.239 1.042 -1.888  0.086
H8 0.798 -0.499 -2.678  0.083
H9 2.448 -0.264 -2.090  0.089


Arrangement b

Density functional theory data (ωB97M-V/def2-TZVPD) for a structure of composition C5H9NO3.

Frontier orbital gap in eV: 9.25
LUMO energy in eV: 0.44
HOMO level in hartree: -0.324

Last column: Löwdin charge in e.
Atoms and positions in Å:
C1 0.497 0.037 -2.490  -0.042
C2 1.183 -0.444 -1.221  -0.369
C3 1.440 0.691 -0.216  -0.062
C4 0.154 0.941 0.529  -0.303
O1 -0.181 1.998 1.005  0.135
C5 -0.783 -0.299 0.569  -0.600
O2 -1.892 -0.165 0.004  -0.001
N1 0.319 -1.396 -0.481  0.107
H1 -0.479 0.492 -2.275  0.093
H2 1.125 0.790 -2.982  0.089
H3 0.340 -0.799 -3.186  0.085
H4 2.131 -0.935 -1.479  0.139
H5 2.187 0.378 0.530  0.137
H6 1.796 1.608 -0.699  0.132
H7 -0.266 -1.963 -1.092  0.142
O3 -0.729 -0.891 1.811  0.063
H8 0.864 -1.992 0.141  0.139
H9 -1.553 -1.381 1.929  0.116


Arrangement c

Density functional theory data (ωB97M-V/def2-TZVPD) for the molecule C5H9NO3.

SMILES: C[C@@H]1N[C@@H]1COC(=O)O
Frontier orbital gap in eV: 10.42
LUMO energy in eV: 0.42
HOMO level in hartree: -0.367

Last column: Löwdin charge in e.
Atoms and positions in Å:
C1 1.342 -1.462 0.961  -0.039
C2 -0.129 -1.145 0.994  -0.290
N1 -0.851 -0.820 -0.245  0.067
C3 -0.740 0.193 0.806  -0.241
C4 -0.028 1.442 0.330  -0.135
O1 0.769 1.248 -0.839  -0.006
C5 0.192 0.714 -1.959  -0.641
O2 0.871 -0.003 -2.672  0.115
O3 -0.838 1.401 -2.440  0.121
H1 1.940 -0.644 0.548  0.079
H2 1.689 -1.665 1.984  0.079
H3 1.513 -2.362 0.356  0.087
H4 -0.704 -1.793 1.661  0.135
H5 -1.768 -1.240 -0.357  0.116
H6 -1.646 0.413 1.375  0.140
H7 -0.782 2.214 0.110  0.117
H8 0.665 1.785 1.107  0.137
H9 -1.495 1.724 -1.721  0.158


Tell me which of them is the most stable. Sure, it is arrangement b.


Arrangement a

Density functional theory data (ωB97M-V/def2-TZVPD) for a cluster of 2 separate species, C5H9NO3 in total.

SMILES: CC(=O)C=O.C=NOC
Frontier orbital gap in eV: 9.73
LUMO energy in eV: 0.20
HOMO level in hartree: -0.350

Last column: Löwdin charge in e.
Atoms and positions in Å:
C1 -2.169 0.363 -0.798  0.001
C2 -1.380 0.890 0.361  -0.411
O1 -1.277 2.058 0.649  0.098
C3 -0.624 -0.154 1.179  -0.224
O2 -0.828 -1.357 1.093  -0.002
H1 -2.624 -0.590 -0.536  0.084
H2 -2.925 1.082 -1.101  0.089
____________
The first thing I did was get my hands on some inexpensive temperature and humidity monitoring sensors. After some research I bought a handful of AHT20s from Adafruit. They're tiny, about the size of a US quarter, cost less than your average drink at Starbucks, and are really easy to wire up (just four pins, two of which are for power). Even I can't mess that up (well, I could, but I didn't). The aforementioned RasPi Zero-W came out of a small stash in one of my parts bins (at $5us each on special, they're hard not to snap up), as did a case for it and a microSD card. I already had the patch lines from an earlier project sitting around and, even though they're designed for use with breadboards if you snip the connectors on the ends off they're perfect pre-sized wires for connecting stuff together. Downloading the latest version of Raspbian (now RaspberryPi OS) took just a few seconds.
My plan was the prototype the sensor in such a way that porting it to an embedded microcontroller running Circuitpython would be very easy. To that end I used a module called Blinka, which acts as a compatibility layer between my code and the underlying hardware (the RasPi). When I started developing my bot on Windbringer I discovered that he doesn't have any of the RasPi-specific stuff so it didn't actually work. I did most of the coding on the RasPi itself (hereafter refered to by its hostname Audra) so I could test and debug in realtime.
The first thing I had to do was figure out the pinouts: In other words, what solder pad meant what. I did this by studying, making notes, and making sure that the information I found was consistent. The sensor's pinout (as mentioned earlier) is really simple: Power in (3-5 VDC), ground, I2C Clock and I2C data. I2C, if you're not familiar with it (and I'm not, I need to sit down and learn about it) is a really simple serial protocol that embedded devices on the same circuit board use to communicate with each other. If you've ever configured temperature and fan monitoring on a Linux box, you've configured I2C. When I set up RaspberryPi OS (I guess I'd better get used to saying that because people can be really touchy about naming things) I made sure to enable I2C support so that the sensor would be available to the hardware.
Back to the pinouts. The nice thing about the RasPi Zero W is that the pin headers where you're supposed to connect stuff are usually not present so if you wanted to solder wires directly to the PC board (and I did) you don't have to fight with it too much. So, I ripped four patch lines off of the bundle I had in my drawer, snipped and tinned the ends, and soldered wires to pins 1 (3.3 volts DC), 3 (SDA), 5 (SCL), and 9 (ground) on the RasPi. The other ends were soldered to the VIN (voltage in), SDA, SCL, and GND pins on the AHT20. That's really all it took to get the right pulses of electricity going to the right places. I did make a few mistakes when soldering, I hadn't gotten the conductive bits of the wires all the way through the holes in the circuit boards but that was easy to fix with a pair of hemostats and a little more soldering iron time. Once everything was secure I powered Audra up and poked at the I2C bus with the i2c-tools package to make sure the new sensor was responding.
Unrelated to this entry: data records:
<<<
# 1
ORCA calculation (ωB97M-V with the def2-TZVPD basis set) on a molecular structure, C2H3ClO2S.

The net charge is 0. The LUMO energy (spin up / spin down) comes out at -0.37 / -0.37 eV.

```
9
C2H3ClO2S ωB97M-V with the def2-TZVPD basis set
Cl -1.561 -2.128 1.221
S -2.015 -0.311 0.229
O -2.803 0.522 1.038
O 0.423 0.784 1.424
H 1.738 -0.732 -1.020
H 0.693 0.449 -1.705
H 1.975 1.006 -0.773
C 0.328 0.228 0.380
C 1.221 0.183 -0.792
```

# 2
ORCA calculation (ωB97M-V with the def2-TZVPD basis set) on 2 unconnected molecules or ions with the total composition C2H3ClO2S.

The net charge is 0. The LUMO energy comes out at -2.07 eV.

```
9
C2H3ClO2S ωB97M-V with the def2-TZVPD basis set
Cl 4.105 0.199 -1.073
O 1.092 -0.608 -1.218
H 1.927 -0.163 2.011
H 1.609 -0.751 -2.054
C 2.635 0.235 1.250
H 0.237 -0.383 -1.411
S 2.653 1.907 1.114
O 3.258 -1.883 0.272
C 3.134 -0.718 0.260
```

Energy above the lowest of the compared OMol25 structures with the same formula, charge and spin / kJ/mol: 160.9 97.8
>>>
{19:45:52 @ Sat Jul 04} [pi @ audra ~] () $ sudo i2cdetect -y 1 0 1 2 3 4 5 6 7 8 9 a b c d e f 00: -- -- -- -- -- -- -- -- -- -- -- -- -- 10: -- -- -- -- -- -- -- -- -- -- -- -- -- -- -- -- 20: -- -- -- -- -- -- -- -- -- -- -- -- -- -- -- -- 30: -- -- -- -- -- -- -- -- 38 -- -- -- -- -- -- -- 40: -- -- -- -- -- -- -- -- -- -- -- -- -- -- -- -- 50: -- -- -- -- -- -- -- -- -- -- -- -- -- -- -- -- 60: -- -- -- -- -- -- -- -- -- -- -- -- -- -- -- -- 70: -- -- -- -- -- -- -- -- {19:45:55 @ Sat Jul 04} [pi @ audra ~] () $The hard part done, I then sat down to actually write a bot that would interact with the sensor. Surprisingly (or unsurprisingly, depending on how you look at it) practically all of the code is either boilerplate bot code (I have a template bot that I use to get a jump on writing new bots) or parsing commands. The actual "read the temperature" and "read the humidity" functions would both fit onto an index card if they were hand-written. This is what talking to the bot looks like.
I probably won't be able to fit an entire "XMPP bridge + bots" stack onto a microcontroller, and I probably won't be able to fit the logic for detecting spikes in temperature or humidity into a microcontroller either, due to the really constrained amount of memory I'll have to work with (about 160 kilobytes). To be honest I haven't implemented that logic in Environment Sensor yet, but I already have code in Systembot that I can re-use. But I'm rambling. What I will probably do is set up a webhook in Huginn that the embedded sensor can push readings to, and do all of the spike detection with a small agent network.
One thing I noticed is that Audra consistently reports temperatures 6.2 degrees Fahrenheit higher than the standalone "control" thermometer I have on my workbench. I suspect that is due to the fact that I attached the temperature sensor to the top of Audra's case, which is noticeably warmer than the surrounding environment. To fix this, I snipped off the zipties and attached the sensor to an old SD card case mounted a couple of inches below the RasPi. Once again, new zipties were used for attachment. The effect was immediately noticeable - ambient temperature reported by Carlo is now three degrees lower and closer to the reference temperature in my workshop.
Of course, there is a gallery of pictures I took during the construction process. I haven't taken any pictures of the new installation layout because I don't feel like editing the gallery again.
Later on, I'll post another build journal of the microcontroller version of this project. Give it a few weeks, things are busy right now.